### Contents
The following is a simulated powder diffraction line list of PrDy2Hg8. It was derived from DFT lattice parameters and positions (GGA-PBE), using copper Kα.

```
PrDy2Hg8
1.0
-2.560 3.729 7.373
2.560 -3.729 7.373
2.560 3.729 -7.373
Pr Dy Hg
1 2 8
direct
0.000 0.000 0.000 Pr
0.309 0.309 0.000 Dy
0.691 0.691 0.000 Dy
0.136 0.848 0.288 Hg
0.157 0.657 0.500 Hg
0.296 0.500 0.796 Hg
0.440 0.152 0.288 Hg
0.560 0.848 0.712 Hg
0.704 0.500 0.204 Hg
0.843 0.343 0.500 Hg
0.864 0.152 0.712 Hg
```

Most intense lines, 15° ≤ 2θ ≤ 90°, sorted by position:
Position (°2θ)	d (Å)	I (rel.)
32.24	2.777	18
34.92	2.570	100
35.06	2.559	36
36.59	2.456	30
51.57	1.772	23
62.80	1.480	19

### Activity
Repeat every line above that contains the word "Kα".

### Here it is
The following is a simulated powder diffraction line list of PrDy2Hg8. It was derived from DFT lattice parameters and positions (GGA-PBE), using copper Kα.